+++
Entry 1:
This record from Materials Project describes a relaxed SiAgPt5 crystal. The functional is PBE.

Calculated values
Formation energy, eV/atom: -0.27
M_tot, μB/f.u.: 0.00

Cell lengths 3.9738, 3.9738, 7.1037 Å; angles 90.00, 90.00, 90.00 degrees
Last column: nearest neighbours and their distance in Å.
Positions (direct):
Pt1 0.0000 0.5000 0.2958  2 Si 2.46
Si1 0.0000 0.0000 0.5000  8 Pt 2.46
Pt2 0.0000 0.0000 0.0000  4 Ag 2.81, 8 Pt 2.89
Pt3 0.5000 0.0000 0.7042  2 Si 2.46
Pt4 0.0000 0.5000 0.7042  2 Si 2.46
Ag1 0.5000 0.5000 0.0000  12 Pt 2.81-2.89
Pt5 0.5000 0.0000 0.2958  2 Si 2.46

=====

Entry 2:
This record from Materials Project describes a relaxed Sr2AgPt crystal. The functional is PBE.

Calculated values
Formation energy, eV/atom: -0.52
M_tot, μB/f.u.: 0.00

Cell lengths 5.3762, 5.3762, 5.3762 Å; angles 60.00, 60.00, 60.00 degrees
Last column: nearest neighbours and their distance in Å.
Positions (direct):
Sr1 0.2500 0.2500 0.2500  4 Ag 3.29, 4 Pt 3.29
Ag1 0.5000 0.5000 0.5000  8 Sr 3.29
Pt1 0.0000 0.0000 0.0000  8 Sr 3.29
Sr2 0.7500 0.7500 0.7500  4 Ag 3.29, 4 Pt 3.29

=====

Entry 3:
This record from Materials Project describes a relaxed Tm2AgPt crystal. The functional is PBE.

Calculated values
Formation energy, eV/atom: -0.83

Cell lengths 4.9627, 4.9627, 4.9627 Å; angles 60.00, 60.00, 60.00 degrees
Last column: nearest neighbours and their distance in Å.
Positions (direct):
Ag1 0.5000 0.5000 0.5000  8 Tm 3.04
Tm1 0.2500 0.2500 0.2500  4 Pt 3.04, 4 Ag 3.04
Pt1 0.0000 0.0000 0.0000  8 Tm 3.04
Tm2 0.7500 0.7500 0.7500  4 Pt 3.04, 4 Ag 3.04

=====

Entry 4:
This record from Materials Project describes a relaxed Rb3Ag9Sb4S12 crystal. The functional is PBE.

Calculated values
Formation energy, eV/atom: -0.58
M_tot, μB/f.u.: 0.00

Cell lengths 9.8593, 9.8593, 9.8593 Å; angles 111.24, 111.24, 105.99 degrees
Last column: nearest neighbours and their distance in Å.
Positions (direct):
Ag1 0.5015 0.0062 0.1693  3 S 2.54-2.58
Rb1 0.6718 0.6718 0.0000  8 S 3.45-3.67
Ag2 0.9938 0.1631 0.4953  3 S 2.54-2.58
S1 0.9021 0.1081 0.6899  1 Sb 2.46, 2 Ag 2.54-2.56
Ag3 0.2500 0.7500 0.5000  4 S 2.83, 4 Ag 2.92
S2 0.4182 0.2122 0.3101  1 Sb 2.46, 2 Ag 2.54-2.56
Ag4 0.9930 0.8406 0.5063  3 S 2.52-2.60
S3 0.6867 0.6635 0.3550  1 Sb 2.45, 2 Ag 2.52-2.58
S4 0.8919 0.5818 0.7940  1 Sb 2.46, 2 Ag 2.54-2.56
S5 0.1119 0.8932 0.3232  1 Sb 2.49, 2 Ag 2.55-2.60
Rb2 0.0000 0.0000 0.0000  8 S 3.49-3.61, 2 Rb 3.90
Sb1 0.3926 0.1335 0.5133  3 S 2.45-2.49
Sb2 0.8665 0.3797 0.2591  3 S 2.45-2.49
S6 0.2113 0.8881 0.7813  1 Sb 2.49, 2 Ag 2.55-2.60
Ag5 0.3343 0.4868 0.4937  3 S 2.52-2.60
S7 0.6683 0.3133 0.9768  1 Sb 2.45, 2 Ag 2.52-2.58
S8 0.3085 0.3317 0.6450  1 Sb 2.45, 2 Ag 2.52-2.58
S9 0.7878 0.0979 0.2060  1 Sb 2.46, 2 Ag 2.54-2.56
Ag6 0.6678 0.4985 0.5047  3 S 2.54-2.58
Sb3 0.1207 0.6074 0.7409  3 S 2.45-2.49
Ag7 0.8369 0.3322 0.8307  3 S 2.54-2.58
S10 0.1068 0.4300 0.2187  1 Sb 2.49, 2 Ag 2.55-2.60
Ag8 0.1594 0.6657 0.1525  3 S 2.52-2.60
S11 0.5700 0.7887 0.6768  1 Sb 2.49, 2 Ag 2.55-2.60
Ag9 0.5132 0.0070 0.8475  3 S 2.52-2.60
Rb3 0.3282 0.3282 0.0000  8 S 3.45-3.67
Sb4 0.6202 0.8793 0.4867  3 S 2.45-2.49
S12 0.3365 0.6915 0.0232  1 Sb 2.45, 2 Ag 2.52-2.58

=====

Entry 5:
This record from Materials Project describes a relaxed Rb2TaAgS2 crystal. The functional is PBE.

Calculated values
Formation energy, eV/atom: -0.41
M_tot, μB/f.u.: 0.00

Cell lengths 5.8815, 6.8487, 23.3324 Å; angles 86.90, 82.76, 64.57 degrees
Last column: nearest neighbours and their distance in Å.
Positions (direct):
Ta1 0.3750 0.7500 0.7500  2 S 2.31
Rb1 0.5044 0.2717 0.6080  3 S 3.06-3.15, 1 Ag 3.32, 1 Rb 3.42
Ta2 0.8750 0.7500 0.2500  2 S 2.31
Rb2 0.8877 0.7283 0.6080  3 S 3.06-3.15, 1 Ag 3.32, 1 Rb 3.42
S1 0.7702 0.2390 0.8486  1 Ta 2.31
Ta3 0.8750 0.2500 0.2500  2 S 2.31
Rb3 0.2456 0.2283 0.8920  3 S 3.06-3.15, 1 Ag 3.32, 1 Rb 3.42
Ag1 0.3750 0.7500 0.2500  2 Ta 2.94
S2 0.8922 0.7390 0.3486  1 Ta 2.31
Rb4 0.8623 0.7717 0.8920  3 S 3.06-3.15, 1 Ag 3.32, 1 Rb 3.42
+++

Next, quote the part of the material further above that starts with the line with "Si1 0.0000" and stops after the one with "Entry 4:".

Si1 0.0000 0.0000 0.5000  8 Pt 2.46
Pt2 0.0000 0.0000 0.0000  4 Ag 2.81, 8 Pt 2.89
Pt3 0.5000 0.0000 0.7042  2 Si 2.46
Pt4 0.0000 0.5000 0.7042  2 Si 2.46
Ag1 0.5000 0.5000 0.0000  12 Pt 2.81-2.89
Pt5 0.5000 0.0000 0.2958  2 Si 2.46

=====

Entry 2:
This record from Materials Project describes a relaxed Sr2AgPt crystal. The functional is PBE.

Calculated values
Formation energy, eV/atom: -0.52
M_tot, μB/f.u.: 0.00

Cell lengths 5.3762, 5.3762, 5.3762 Å; angles 60.00, 60.00, 60.00 degrees
Last column: nearest neighbours and their distance in Å.
Positions (direct):
Sr1 0.2500 0.2500 0.2500  4 Ag 3.29, 4 Pt 3.29
Ag1 0.5000 0.5000 0.5000  8 Sr 3.29
Pt1 0.0000 0.0000 0.0000  8 Sr 3.29
Sr2 0.7500 0.7500 0.7500  4 Ag 3.29, 4 Pt 3.29

=====

Entry 3:
This record from Materials Project describes a relaxed Tm2AgPt crystal. The functional is PBE.

Calculated values
Formation energy, eV/atom: -0.83

Cell lengths 4.9627, 4.9627, 4.9627 Å; angles 60.00, 60.00, 60.00 degrees
Last column: nearest neighbours and their distance in Å.
Positions (direct):
Ag1 0.5000 0.5000 0.5000  8 Tm 3.04
Tm1 0.2500 0.2500 0.2500  4 Pt 3.04, 4 Ag 3.04
Pt1 0.0000 0.0000 0.0000  8 Tm 3.04
Tm2 0.7500 0.7500 0.7500  4 Pt 3.04, 4 Ag 3.04

=====

Entry 4: